Given the spate of gold exploration licences being sought, and granted, in this region, we’d like to remind readers of a fun document which appeared as the pandemic was gathering pace, and may not have gotten the attention it deserved.
It’s the Victorian Auditor General’s report on mine and quarry rehabilitation, tabled in August 2020. You can find it here. Like all such reports, it’s not easy reading, but it’s worth a crack, and the one page summary at the start won’t stretch your brain.
All prospective miners are required to pay the state upfront an amount of money adequate for restoring the land after the mine or quarry has been exhausted.

A common sight in our region. The Castlemaine Diggings Heritage Action Plan (2005) put it nicely: this landscape ‘demonstrates the severe environmental impact that can result from inadequate environmental constraint.’ Are we facing a repeat performance?
Are they doing this? The report’s conclusions are succinct:
‘The Department of Jobs Precincts and Regions (DJPR) is not effectively regulating operators’ compliance with their rehabilitation responsibilities. This exposes the state to significant financial risk because some sites have been poorly rehabilitated or not treated at all. If not addressed, these sites also present risks to Victorians and the environment.[FOBIF emphasis]
‘Systemic regulatory failures encompass:
- using outdated cost estimates
- not periodically reviewing bonds for their sufficiency—including a four-year bond review ‘moratorium’ for which there is no documentary evidence that it was duly authorised
- failure to assure that site rehabilitation had actually occurred before returning bonds
- approving inadequately specified rehabilitation plans
- lack of enforcement activities.
‘Further, while some changes to address conflicts of interest were made following Parliament’s Independent Inquiry into the EPA in 2016, Earth Resources Regulation (ERR)—the primary mining regulator—still resides within DJPR, which seeks to foster and develop the mining industry.’ (FOBIF emphases).
The disturbing part of this is the revelation that the regulator and the promoter of mining are in the same department. This kind of compromise, where the regulator is too close to the industry it’s regulating, is all too common. Does the casino industry come to mind?
The upshot of this is that extensive areas of Victoria are being degraded by mining with little prospect of rehabilitation—unless the tax payer stumps up millions for the work ($361 million and counting, so far).
The DJPR, in its acknowledgement of the Auditor General’s report, accepted that change is necessary, recognising that
‘transformational improvement in site rehabilitation is required to protect public safety, land, infrastructure and the environment, in order to avoid any repeat of past problems associated with abandoned and legacy sites.’
These records of crystals were left in the text by mistake =
'''
This record from the Alexandria database describes a geometry-optimized AgMo3Ir structure. The functional is GGA-PBE.

Energy relative to the elements, eV/f.u.: 8.0
Total magnetic moment, μB per atom: 0.000
Space-group type: No. 221

abc: 4.7479 4.7479 4.7479
angles: 90.00 90.00 90.00
With the nearest neighbours (Å) after each atom.
Atoms (fractional coordinates):
Mo 0.0000 0.5000 0.0000  2 Ir 2.37
Mo 0.0000 0.0000 0.5000  2 Ir 2.37
Mo 0.5000 0.0000 0.0000  2 Ir 2.37
Ir 0.0000 0.0000 0.0000  6 Mo 2.37
Ag 0.5000 0.5000 0.5000  12 Mo 3.36

----------

[1]
Compound: PtS2O8
Source: Alexandria
Functional: PBE-GGA
Structure: optimized geometry

M_tot	0.00	μB per cell
formation energy from raw total energies	-0.9459	eV/atom
uncorrected energy	-5.8515	eV per atom

Geometry as POSCAR:
```
PtS2O8
1.0
4.603 0.121 0.103
0.743 6.263 0.415
0.743 1.381 6.123
O Pt S
8 1 2
Direct
0.235 0.956 0.267
0.318 0.833 0.833
0.765 0.044 0.733
0.756 0.670 0.670
0.765 0.733 0.044
0.235 0.267 0.956
0.244 0.330 0.330
0.682 0.167 0.167
0.000 0.000 0.000
0.654 0.811 0.811
0.346 0.189 0.189
```

[2]
Compound: Ac2TmTl2
Source: Alexandria
Functional: PBE-GGA
Structure: optimized geometry

M_tot	0.00	μB per cell
uncorrected energy	-3.7675	eV per atom

Geometry as POSCAR:
```
Ac2TmTl2
1.0
4.914 0.000 1.157
2.353 6.532 1.021
0.010 -0.173 10.969
Tm Tl Ac
2 4 4
Direct
0.213 0.943 0.631
0.787 0.057 0.369
0.138 0.300 0.424
0.974 0.166 0.887
0.862 0.700 0.576
0.026 0.834 0.113
0.518 0.644 0.321
0.317 0.267 0.100
0.683 0.733 0.900
0.482 0.356 0.679
```

Question: Among the records above, which one has the highest uncorrected energy?
Answer: Ac2TmTl2
'''
We’re not sure how the transformational improvement is going. Watch this space.